## File
+++
Record 1
{"formula": "C22H24BrO3Tc", "method": "ωB97M-V with the def2-TZVPD basis set", "species": ["Tc", "Br", "O", "O", "O", "C", "C", "C", "C", "C", "C", "C", "C", "C", "C", "C", "C", "C", "C", "C", "C", "C", "C", "C", "C", "C", "C", "H", "H", "H", "H", "H", "H", "H", "H", "H", "H", "H", "H", "H", "H", "H", "H", "H", "H", "H", "H", "H", "H", "H", "H"], "coordinates": [[-0.01491, 0.21792, 0.19521], [0.74340, 1.38315, 4.12204], [-0.13254, -3.34541, 2.46857], [-0.08500, -1.52619, 1.13739], [-0.12825, -0.95812, -1.94199], [-0.21992, -2.13577, 2.34094], [-1.38462, 1.20497, 1.46718], [0.55588, 0.63330, -3.76356], [-0.83986, -0.02834, 5.77263], [-1.65184, -0.58026, -3.84340], [-1.38714, -2.36315, 4.44841], [-0.35952, -0.24922, 4.47748], [-1.59682, -0.99214, 6.43944], [-1.86728, -2.18240, 5.76387], [2.26664, -0.66567, 0.43451], [-0.19174, -0.62960, -3.43754], [-1.16245, 2.00332, 0.30486], [-0.62560, -1.42026, 3.73995], [-2.10622, 0.03204, 1.08165], [-2.30275, 0.08159, -0.32880], [0.42180, -2.34814, -2.36484], [-1.73952, 1.31469, -0.81663], [1.51038, 1.47931, 0.91734], [0.49779, -1.96507, -3.82610], [1.82031, 1.42326, -0.47639], [1.78411, 0.17695, 1.47225], [2.29713, 0.09596, -0.77076], [-1.65575, -3.34774, 4.03217], [-1.95502, -0.81623, 7.46082], [-1.80437, 1.71353, -1.85274], [-2.06394, 0.44390, -3.71556], [1.68046, -0.09290, 2.54119], [-2.45492, -2.95871, 6.27051], [1.78215, 2.27315, -1.18827], [0.53103, 0.80384, -4.85905], [-2.46279, -0.77048, 1.76439], [-2.25376, -1.28404, -3.24056], [-1.12918, 1.48651, 2.50915], [-1.74736, -0.84908, -4.91446], [-0.63294, 0.88935, 6.34508], [-0.36415, -3.07316, -2.07375], [0.07588, 1.51200, -3.27472], [-0.08658, -2.60006, -4.49438], [1.37343, -2.52243, -1.82002], [2.55112, -1.73300, 0.53623], [1.24474, 2.38443, 1.49696], [-0.71546, 3.01781, 0.27157], [2.65857, -0.26590, -1.75866], [1.60825, 0.57332, -3.43675], [-2.83654, -0.68304, -0.93360], [1.52753, -1.81499, -4.17088]], "total_charge": -1, "energy_ev": -101580.545, "multiplicity": 4, "max_force_ha_per_bohr": 0.088, "e_above_lowest_kcal_mol": 49.8}



Record 2
{"formula": "C2H7N2", "method": "ωB97M-V with the def2-TZVPD basis set", "species": ["N", "N", "C", "C", "H", "H", "H", "H", "H", "H", "H"], "coordinates": [[-1.33150, -0.24506, 0.47692], [0.79172, 0.40627, -1.39395], [0.13741, -0.35331, 0.85736], [0.89249, 0.50672, 0.08350], [-1.48216, 0.10987, -0.46334], [1.79043, 1.06473, 0.33406], [0.86216, -0.60021, -1.54691], [-1.91982, 0.25136, 1.16594], [1.63582, 0.78468, -1.81297], [-1.75741, -1.17378, 0.47955], [0.38087, -0.75127, 1.81984]], "total_charge": 0, "energy_ev": -5163.509, "multiplicity": 2, "max_force_ha_per_bohr": 0.045, "e_above_lowest_kcal_mol": 49.0}



Record 3
{"formula": "C4H4NO5", "method": "ωB97M-V with the def2-TZVPD basis set", "species": ["O", "O", "O", "O", "O", "N", "C", "C", "C", "C", "H", "H", "H", "H"], "coordinates": [[-1.71910, -1.98245, 0.52221], [-0.33767, -0.51684, 1.44000], [2.46790, -2.18480, -0.84918], [2.47481, 2.04612, -0.40478], [0.65492, 1.72576, 0.77530], [2.02805, -1.09823, -0.59141], [1.50015, -0.08503, -0.41813], [1.59325, 1.36718, 0.00280], [-1.23916, -0.87531, 0.57440], [-1.79204, 0.14022, -0.41097], [0.05686, 0.34901, 1.28998], [-2.82450, -0.12333, -0.59631], [-1.31487, 0.19109, -1.39435], [-1.54860, 1.04661, 0.06043]], "total_charge": -1, "energy_ev": -15940.356, "multiplicity": 1, "max_force_ha_per_bohr": 0.063, "e_above_lowest_kcal_mol": 43.3}



Record 4
+++

## What to do
Your job: print the lines earlier on without altering anything.

## Result
Record 1
{"formula": "C22H24BrO3Tc", "method": "ωB97M-V with the def2-TZVPD basis set", "species": ["Tc", "Br", "O", "O", "O", "C", "C", "C", "C", "C", "C", "C", "C", "C", "C", "C", "C", "C", "C", "C", "C", "C", "C", "C", "C", "C", "C", "H", "H", "H", "H", "H", "H", "H", "H", "H", "H", "H", "H", "H", "H", "H", "H", "H", "H", "H", "H", "H", "H", "H", "H"], "coordinates": [[-0.01491, 0.21792, 0.19521], [0.74340, 1.38315, 4.12204], [-0.13254, -3.34541, 2.46857], [-0.08500, -1.52619, 1.13739], [-0.12825, -0.95812, -1.94199], [-0.21992, -2.13577, 2.34094], [-1.38462, 1.20497, 1.46718], [0.55588, 0.63330, -3.76356], [-0.83986, -0.02834, 5.77263], [-1.65184, -0.58026, -3.84340], [-1.38714, -2.36315, 4.44841], [-0.35952, -0.24922, 4.47748], [-1.59682, -0.99214, 6.43944], [-1.86728, -2.18240, 5.76387], [2.26664, -0.66567, 0.43451], [-0.19174, -0.62960, -3.43754], [-1.16245, 2.00332, 0.30486], [-0.62560, -1.42026, 3.73995], [-2.10622, 0.03204, 1.08165], [-2.30275, 0.08159, -0.32880], [0.42180, -2.34814, -2.36484], [-1.73952, 1.31469, -0.81663], [1.51038, 1.47931, 0.91734], [0.49779, -1.96507, -3.82610], [1.82031, 1.42326, -0.47639], [1.78411, 0.17695, 1.47225], [2.29713, 0.09596, -0.77076], [-1.65575, -3.34774, 4.03217], [-1.95502, -0.81623, 7.46082], [-1.80437, 1.71353, -1.85274], [-2.06394, 0.44390, -3.71556], [1.68046, -0.09290, 2.54119], [-2.45492, -2.95871, 6.27051], [1.78215, 2.27315, -1.18827], [0.53103, 0.80384, -4.85905], [-2.46279, -0.77048, 1.76439], [-2.25376, -1.28404, -3.24056], [-1.12918, 1.48651, 2.50915], [-1.74736, -0.84908, -4.91446], [-0.63294, 0.88935, 6.34508], [-0.36415, -3.07316, -2.07375], [0.07588, 1.51200, -3.27472], [-0.08658, -2.60006, -4.49438], [1.37343, -2.52243, -1.82002], [2.55112, -1.73300, 0.53623], [1.24474, 2.38443, 1.49696], [-0.71546, 3.01781, 0.27157], [2.65857, -0.26590, -1.75866], [1.60825, 0.57332, -3.43675], [-2.83654, -0.68304, -0.93360], [1.52753, -1.81499, -4.17088]], "total_charge": -1, "energy_ev": -101580.545, "multiplicity": 4, "max_force_ha_per_bohr": 0.088, "e_above_lowest_kcal_mol": 49.8}



Record 2
{"formula": "C2H7N2", "method": "ωB97M-V with the def2-TZVPD basis set", "species": ["N", "N", "C", "C", "H", "H", "H", "H", "H", "H", "H"], "coordinates": [[-1.33150, -0.24506, 0.47692], [0.79172, 0.40627, -1.39395], [0.13741, -0.35331, 0.85736], [0.89249, 0.50672, 0.08350], [-1.48216, 0.10987, -0.46334], [1.79043, 1.06473, 0.33406], [0.86216, -0.60021, -1.54691], [-1.91982, 0.25136, 1.16594], [1.63582, 0.78468, -1.81297], [-1.75741, -1.17378, 0.47955], [0.38087, -0.75127, 1.81984]], "total_charge": 0, "energy_ev": -5163.509, "multiplicity": 2, "max_force_ha_per_bohr": 0.045, "e_above_lowest_kcal_mol": 49.0}



Record 3
{"formula": "C4H4NO5", "method": "ωB97M-V with the def2-TZVPD basis set", "species": ["O", "O", "O", "O", "O", "N", "C", "C", "C", "C", "H", "H", "H", "H"], "coordinates": [[-1.71910, -1.98245, 0.52221], [-0.33767, -0.51684, 1.44000], [2.46790, -2.18480, -0.84918], [2.47481, 2.04612, -0.40478], [0.65492, 1.72576, 0.77530], [2.02805, -1.09823, -0.59141], [1.50015, -0.08503, -0.41813], [1.59325, 1.36718, 0.00280], [-1.23916, -0.87531, 0.57440], [-1.79204, 0.14022, -0.41097], [0.05686, 0.34901, 1.28998], [-2.82450, -0.12333, -0.59631], [-1.31487, 0.19109, -1.39435], [-1.54860, 1.04661, 0.06043]], "total_charge": -1, "energy_ev": -15940.356, "multiplicity": 1, "max_force_ha_per_bohr": 0.063, "e_above_lowest_kcal_mol": 43.3}



Record 4